News Alert
- Thursday, 9/8/2022
the most current Newsalert
Must I Do To Be Saved?
New Podcasts - We are now reaching 40 countries!
Mac Dominick DVD!
In The Time of the Paradigm Shift: System Breakdown"
March 21, 2022 President Joe Biden said 'Now is the
time when things are shifting, there’s going to
be a new world order out there, we’ve got to lead
it, and we’ve got to unite the rest of the free
world while doing it.'
The President
is talking about the 'Paradigm Shift' to take us into
the New World Order and stage the Antichrist.
We are on the
verge of that New World order and our current system
is breaking down. Gas prices are up, inflation is the
worst in 40 years, interest rates are rising, and customer
confidence is collapsing.
This video is
the most relevant and current on the market today, combining
the best in the current progress of Bible prophecy in
world news and in the unique Cutting Edge viewpoint.
This understanding will affect -- should affect -- every
other aspect of the current collapse of this once free
and mighty nation!
This DVD is a
2-DVD set running about 2 1/2 hours
Your Copy Now.

Important News Articles - Analysis
Israel is totally committed
to the appearance of the New Age Christ as they seek
to build a high-speed, high-volume airport rail link
directly to the Third Temple!
Gurion gearing up to bring all 70 nations straight from
the airport to Third Temple",
Israel;365 News, Sept
7, 2022
is upgrading its already impressive international airport.
The government is also working on a railway infrastructure
that will bring international travelers directly from
the airport to the Temple Mount. This will enable all
70 nations to come to worship God in Jerusalem’s
House of prayer, a vision that the government has already
hinted is their true intention."
Illuminized Western Freemasonry
has long desired to rebuild Solomon's Temple on the
Temple Mount. Masonic forces of the United Kingdom,
United States, and Israel are absolutely determined
to rebuild Solomon's Temple.
"... the Temple plays
a very, very important role in the conduct of the Temple
once it has been rebuilt. 'Of all the objects which
constitute the Masonic science of symbolism, the most
important, the most cherished, by the Mason, and by
**Calculated crystals from another source follow:**
-- begin --
# 1
Material: Tl2CdIn
Method: DFT, PBEsol
State: relaxed

E_form = 0.05 eV/atom
N(E_F) = 1.73 states/eV/f.u.

a b c (Å): 3.7021 3.7021 7.5582
angles (deg): 90.00 90.00 90.00
Fractional coordinates of all 4 atoms:
Tl1 0.0000 0.0000 0.7581
Tl2 0.0000 0.0000 0.2419
In1 0.5000 0.5000 0.5000
Cd1 0.5000 0.5000 0.0000

---

# 2
Material: Tl2CdIn
Method: DFT, PBEsol
State: relaxed

E_form = 0.06 eV/atom
N(E_F) = 1.58 states/eV/f.u.

a b c (Å): 5.2732 5.2732 5.2732
angles (deg): 60.00 60.00 60.00
Fractional coordinates of all 4 atoms:
Tl1 0.0000 0.0000 0.0000
Tl2 0.2500 0.2500 0.2500
In1 0.7500 0.7500 0.7500
Cd1 0.5000 0.5000 0.5000

---

# 3
Material: TlCd2In
Method: DFT, PBEsol
State: relaxed

E_form = 0.06 eV/atom
N(E_F) = 1.60 states/eV/f.u.

a b c (Å): 3.3585 5.4502 5.4502
angles (deg): 106.49 89.87 89.87
Fractional coordinates of all 4 atoms:
Tl1 0.5000 0.0000 0.0000
In1 0.5000 0.5000 0.5000
Cd1 0.0000 0.0000 0.5000
Cd2 0.0000 0.5000 0.0000

---

# 4
Material: TlCdIn2
Method: DFT, PBEsol
State: relaxed

E_form = 0.04 eV/atom
N(E_F) = 1.94 states/eV/f.u.

a b c (Å): 3.4285 5.3908 6.3313
angles (deg): 115.20 105.71 90.00
Fractional coordinates of all 4 atoms:
Tl1 0.5000 0.0000 0.0000
In1 0.7371 0.7371 0.4742
In2 0.2629 0.2629 0.5258
Cd1 0.0000 0.5000 0.0000

---

# 5
Material: Tl2Cd2In
Method: DFT, PBEsol
State: relaxed

E_form = 0.08 eV/atom
N(E_F) = 1.87 states/eV/f.u.

a b c (Å): 4.3255 7.7140 7.7140
angles (deg): 90.00 90.00 90.00
Fractional coordinates of all 10 atoms:
Tl1 0.5000 0.1698 0.6698
Tl2 0.5000 0.6698 0.8302
Tl3 0.5000 0.8302 0.3302
Tl4 0.5000 0.3302 0.1698
Cd1 0.0000 0.3675 0.8675
Cd2 0.0000 0.8675 0.6325
Cd3 0.0000 0.6325 0.1325
Cd4 0.0000 0.1325 0.3675
In1 0.0000 0.0000 0.0000
In2 0.0000 0.5000 0.5000

---

# 6
Material: Tl2CdIn
Method: DFT, PBEsol
State: relaxed

E_form = 0.05 eV/atom
N(E_F) = 1.85 states/eV/f.u.

a b c (Å): 3.4725 5.4331 6.1320
angles (deg): 110.05 106.45 90.00
Fractional coordinates of all 4 atoms:
Tl1 0.9935 0.9761 0.9870
Tl2 0.7626 0.2802 0.5251
In1 0.2360 0.7601 0.4720
Cd1 0.5079 0.4836 0.0158

---

# 7
Material: Tl2CdIn
Method: DFT, PBEsol
State: relaxed

E_form = 0.04 eV/atom
N(E_F) = 1.93 states/eV/f.u.

a b c (Å): 3.2765 4.5047 6.9653
angles (deg): 90.00 90.00 90.00
Fractional coordinates of all 4 atoms:
Tl1 0.0000 0.0000 0.9945
Tl2 0.5000 0.5000 0.2621
In1 0.5000 0.5000 0.7338
Cd1 0.0000 0.0000 0.5097

---

# 8
Material: TlCd2In
Method: DFT, PBEsol
State: relaxed

E_form = 0.05 eV/atom
N(E_F) = 1.53 states/eV/f.u.

a b c (Å): 3.1978 3.1978 10.9490
angles (deg): 81.60 81.60 60.00
Fractional coordinates of all 4 atoms:
Tl1 0.0000 0.0000 0.0000
In1 0.5000 0.5000 0.5000
Cd1 0.2479 0.2479 0.2562
Cd2 0.7521 0.7521 0.7438

---

# 9
Material: TlCdIn2
Method: DFT, PBEsol
State: relaxed

E_form = 0.02 eV/atom
N(E_F) = 1.77 states/eV/f.u.

a b c (Å): 3.3367 3.3367 8.9536
angles (deg): 90.00 90.00 90.00
Fractional coordinates of all 4 atoms:
Tl1 0.5000 0.5000 0.0000
In1 0.0000 0.0000 0.7312
In2 0.0000 0.0000 0.2688
-- stop --
far the most significant, is the Temple of Jerusalem.
The spiritualizing of the Temple is the first, the most
prominent and the most pervading, of all symbols of
Freemasonry ... Take from Freemasonry its dependence
on the Temple; leave out of its ritual all references
to that sacred edifice, and to the legends and traditions
connected with it, and the system itself would at once
decay and die ... " ['Encyclopaedia of Freemasonry',
by Albert Mackey, MD, 33º and Charles T. McClenachan,
33º, Revised Edition, by Edward L. Hawkins, 30º
and William J. Hughan, 32º, Volume II, M-Z, published
by The Masonic History Company, Chicago, New York, London,
1873, A.G. Mackey, 1927, by the Masonic History Company.]
Let us repeat the critical
understanding that the noted 33º Masonic author,
Albert Mackey, has just given us:
"Take from Freemasonry
its dependence on the Temple; leave out of its ritual
all references to that sacred edifice, and to the legends
and traditions connected with it, and the system itself
would at once decay and die
... "
"Therefore, the first
understanding we want you to grasp is that Freemasonry
is absolutely, completely, 100% devoted to the Solomon
Temple, without which the entire structure and foundation
of Freemasonry would die! Thus does Masonry stand in
stark contrast to genuine, Biblical Christianity. In
other words, Freemasonry is rooted at its deepest foundation
to the First Covenant of the Old Testament, while Biblical
Christianity is rooted to the Second Covenant of Jesus
Christ as delineated in the New Testament!"
"The genuine Christian
has no close affinity to Solomon's Temple, because He
destroyed it and annulled the Levitical Priesthood that
accompanied it, let us examine how important this temple
is to the practice of the Masonic religion (Hebrews
entire book)."
Now, let us examine how
Freemasonry has prepared for the Third Temple to serve
the needs of the coming Masonic Messiah (Antichrist).
Let us review the important segment:
"The traditions and
romance of King Solomon's Temple ... are of
transcendent importance to Masons."
The word, "transcendent",
is used by genuine Biblical Christianity to describe
God Himself. Just as the dictionary explains, God is
truly "transcendent", "to pass beyond
the limit that humans can grasp"; "to exist
above and independently of material experience or the
universe". In other words, Solomon's Temple is
to the Freemason what God is to the genuine Christian!
Thus, belief in Solomon's
Temple transcends all of Freemasonry itself, existing
above and independently of it. Masonry has placed its
"transcendent" faith in a building that the
True God Himself destroyed, not once, but twice!
Since Freemasonry reverences
Solomon's Temple so very much, and since this Temple
holds such a pre-eminent position in all of Freemasonry,
from its foundation to its very roof, is it much of
a stretch to understand that Freemasons might fervently
desire to re-build Solomon's Temple on the only place
on earth it can possibly be built -- the Temple Mount
in Jerusalem?
Hark, do I hear the faint
echo of trumpets calling? Antichrist is awaiting at
his gate, ready to burst forth as Revelation 6:1-2 foretells!
II. We are living
in dark times!
TIMES: Industry and infrastructure collapsing by
the day across Europe and the USA", Natural
News, September 5, 2022
"This comes after
-- The page is interrupted by materials data --
'''
{
  "formula": "Y3Zn2Ag2",
  "functional": "PBE",
  "state": "relaxed",
  "space_group": "No. 2",
  "formation_enthalpy_0k_ev_per_fu": -1.97,
  "lattice": [[5.5513, 0.5972, -1.2837], [-2.6752, 3.9416, -0.6872], [-0.4639, -1.9402, 7.4637]],
  "species": ["Zn", "Zn", "Y", "Y", "Y", "Ag", "Ag"],
  "frac_coords": [[0.7645, 0.6568, 0.5497], [0.2355, 0.3432, 0.4503], [0.4317, 0.0823, 0.7329], [0.5683, 0.9177, 0.2671], [0.0000, 0.0000, 0.0000], [0.0691, 0.4139, 0.7587], [0.9309, 0.5861, 0.2413]]
}

***

{
  "formula": "YZnAg2",
  "functional": "PBE",
  "state": "relaxed",
  "space_group": "No. 63",
  "formation_enthalpy_0k_ev_per_fu": -0.96,
  "lattice": [[4.6489, 0.0000, 0.0000], [0.0000, 3.4910, 0.0000], [0.0000, -1.7455, 10.1668]],
'''
-- Back to the page --
announced closures of aluminum smelters, copper smelters
and ammonia production plants over the last few weeks.
Ammonia — necessary for fertilizer — is
now 70% offline in the EU."
"With steel and other
industrial metals also offline, one wonders how Western
Europe is supposed to function over the next six months
of winter: